Job >
Your job: print only the lines underneath with the word "degrees" in them.

Entries >
-- begin --
Computed, not measured: BaLa2Ni after structural relaxation at the PBE-GGA level of DFT.

calculated formation energy: 0.18 eV per formula unit

Lattice parameters (Å, degrees): 9.397 9.397 9.397 157.26 153.50 35.19
Positions (direct):
1 La 0.002 0.002 0.000
2 La 0.651 0.151 0.500
3 Ba 0.326 0.826 0.500
4 Ni 0.521 0.521 0.000

=====

Computed, not measured: PrNdBiI after structural relaxation at the PBE-GGA level of DFT.

formation energy from raw total energies: -84 kJ/mol of atoms

Lattice parameters (Å, degrees): 5.603 5.603 5.603 60.00 60.00 60.00
Positions (direct):
1 Nd 0.750 0.750 0.750
2 I 0.000 0.000 0.000
3 Bi 0.500 0.500 0.500
4 Pr 0.250 0.250 0.250
-- stop --

Written answer >
Lattice parameters (Å, degrees): 9.397 9.397 9.397 157.26 153.50 35.19
Lattice parameters (Å, degrees): 5.603 5.603 5.603 60.00 60.00 60.00